difference between cgi and FCGI::Request in perl - perl

I have a peice of code
my $fcgi_request = FCGI::Request(\*STDIN,\*STDOUT,\*STDERR, \%ENV,0,FCGI::FAIL_ACCEPT_ON_INTR);
while (1) {
my $cgi = new CGI('');
So what is the role of FCGI::Request and how it is different from CGI because new CGI() is also giving me request handle.

Disclaimer: This is mostly speculation.
It's likely that whoever implemented that code tried migrating an existing CGI application to FCGI to make it faster. If you look at the FCGI documentation you'll see that almost all the parameters that are passed to FCGI::Request are the default values anyway. The only not-default one is this (indentation mine, and actually in the code it's different).
flags (default: 0)
Possible values:
If set, Accept will fail if interrupted. It
not set, it will just keep on waiting.
Because those parameters are positional, the author of your code most likely thought it's a good idea to pass in all the defaults so not to change anything. That makes sense, but looks strange.
Then there is the loop in which the program accepts requests. Inside, there is the old CGI program. This program might use other features of CGI like HTML-generation (which is now discouraged), so the author probably left it in. Because of how CGI works (it reads environment variables) and the way FCGI works (also reads environment variables) that's not mutually exclusive.
Now if somewhere down in the program it says stuff like print $q->header('text/html') then that will go to STDOUT, which above was set as the filehandle that the FCGI request uses. So the FCGI handler will see the output, and all is well.
Now interesting is why there is a while (1) and not a while (my $fcgi_request->Accept() >= 0 ). It says that the Accept accepts a connection and attaches the handles. This should be in your code somewhere in the loop.

Someone pasted data records at this point =
+++
{
  "formula": "C6H6O2",
  "method": "ωB97M-V with the def2-TZVPD basis set",
  "elements": ["O", "C", "O", "C", "C", "C", "C", "C", "H", "H", "H", "H", "H", "H"],
  "positions_angstrom": [[2.6868, -1.0509, 0.0244], [1.5546, -0.3204, 0.0324], [1.7575, 1.0049, 0.0346], [0.5513, 1.6931, -0.0046], [-0.4017, 0.7287, -0.0438], [0.2289, -0.5846, -0.0471], [-1.1173, -1.2323, 0.0419], [-1.7912, 0.1694, 0.0145], [3.4360, -0.4131, -0.2349], [0.5486, 2.7649, 0.1057], [-1.3922, -1.8913, -0.8510], [-1.2784, -1.7543, 1.0041], [-2.4284, 0.5372, 0.8499], [-2.3545, 0.3486, -0.9260]],
  "atomic_forces_ev_per_a": [[1.4, 1.3, -0.5], [-0.5, -0.5, -0.5], [0.6, 1.2, 0.0], [-0.9, -1.1, 0.2], [1.3, 0.0, 0.2], [0.2, 2.0, 0.2], [-1.0, -2.1, -0.3], [-0.9, 0.9, -0.7], [-1.6, -1.4, 0.6], [0.3, -0.1, -0.1], [0.3, 0.7, 1.4], [0.0, -0.1, -0.6], [0.5, -0.7, -0.4], [0.2, -0.1, 0.5]],
  "nbo_charge": [-0.66, 0.60, -0.45, 0.03, -0.06, -0.24, -0.38, -0.41, 0.50, 0.21, 0.22, 0.22, 0.22, 0.22],
  "e_above_lowest_kcal_mol": 46.1,
  "homo_lumo_gap_ev": 8.8,
  "spin_multiplicity": 1,
  "e_tot_ha": -382.6123,
  "charge": 0
}


{
  "formula": "HN2O3S",
  "method": "ωB97M-V with the def2-TZVPD basis set",
  "elements": ["N", "N", "O", "O", "O", "S", "H"],
  "positions_angstrom": [[0.9946, -1.1626, -0.9104], [-0.4032, -0.6366, -0.5230], [-1.3985, -1.0114, -1.0781], [-0.2546, 0.2650, 1.9681], [-0.6784, 2.0630, 0.3437], [0.1316, 0.8971, 0.6858], [1.6084, -0.4145, -0.4860]],
  "atomic_forces_ev_per_a": [[-4.8, 2.0, 1.1], [6.1, -1.3, -2.5], [0.2, -0.3, 0.6], [0.4, 0.6, -0.9], [0.0, -0.3, -0.2], [-0.8, 0.3, 2.1], [-1.0, -1.0, -0.1]],
  "nbo_charge": [-0.67, 0.13, -0.39, -0.98, -0.97, 1.59, 0.29],
  "e_above_lowest_kcal_mol": 101.7,
  "homo_lumo_gap_ev": 8.4,
  "spin_multiplicity": 1,
  "e_tot_ha": -733.9541,
  "charge": -1
}

----------

70
Properties=species:S:1:pos:R:3:forces:R:3 method="wB97M-V/def2-TZVPD" e_homo_ha=-0.38813 gap_ha=0.37166 smiles="C[N+](=O)[O-].C[N+](=O)[O-].C[N+](=O)[O-].C[N+](=O)[O-].C[N+](=O)[O-].C[N+](=O)[O-].C[N+](=O)[O-].C[N+](=O)[O-].C[N+](=O)[O-].C[N+](=O)[O-]" e_lumo_ev=-0.4 energy_ha=-2450.3205 total_charge=0
O -4.10413 -3.52315 0.29485 0.30 -0.09 -0.64
H 0.01078 6.84442 -5.63631 0.00 -0.15 -0.53
N -3.10884 -0.38913 6.94416 -1.71 -1.96 -0.65
O 2.47837 -0.87554 6.63297 1.20 -0.32 -0.73
C -0.84992 6.19283 -5.78714 -0.40 0.25 1.44
O 0.93320 6.45737 5.08255 1.09 -1.70 -2.46
H 3.96728 3.06275 -6.50302 0.13 -0.26 0.38
H 3.87853 -2.65665 7.59650 0.31 0.11 0.05
H 6.49302 -4.02973 -0.80601 0.03 0.34 0.07
H 6.56025 -3.08130 0.75348 0.01 0.13 -0.51
N -0.10354 -3.19618 -6.26458 -0.77 -2.61 2.10
H 0.03618 4.27284 5.54686 0.14 0.51 -0.13
O -2.34331 0.51332 7.00556 0.67 1.70 0.61
N -6.40189 0.84504 3.10477 0.11 1.16 -0.11
H 2.89110 1.65510 -6.25233 0.12 -0.11 -0.03
O 0.40948 1.98838 -1.60901 0.11 0.89 -1.58
N 3.44999 -1.37621 6.06559 -1.70 0.17 -1.88
O -6.78271 1.78849 3.85092 1.26 -2.44 -1.92
C 0.73031 4.18597 4.71096 -0.93 -0.69 0.50
C -2.65292 -1.58396 6.16909 0.61 0.06 -0.33
+++

CGI is a protocol for passing an HTTP request to a process using a combination of environment variables and STDIN, and to receive a response using STDOUT. As such, the request can only be sent to a child created specifically to handle that request.
Launching a child for each request can be slow, especially if the program needs to be compiled before being executed. Fast CGI is a solution to this problem.
Fast CGI is is a protocol for passing an HTTP request to a process using a socket. As such, the request can be sent to a pre-existing process, and this process can handle multiple requests.
FCGI::Request accepts a Fast CGI request, and makes it look like a CGI request, allowing CGI.pm to be used. This allows familiar libraries to be used, and it allows CGI programs to be converted to Fast CGI programs with more ease.
In that particular snippet, FCGI::Request isn't actually used since $request->Accept() isn't being called. As written, it expects a CGI request, not a Fast CGI request.


FastCGI or PSGI Interface to NGINX in 2021

This question I asked has resulted in me exploring directly interfacing my FastCGI script to NGINX, rather than using a reverse proxy to Apache. I successfully modified my FastCGI script to run as a daemon using some code I found online:
my $s = FCGI::OpenSocket(':9000',20);
my $request = FCGI::Request( \*STDIN, \*STDOUT, \*STDERR, \%ENV, $s);
# Remaining code stays just as it does when using with Apache's mod_fcgid
while($request->Accept() >= 0) {
# Call core app subroutines.
It works, but near as I can tell this has a distinct disadvantage over mod_fcgid: I have one process running which will handle one request at a time and if that process dies, there's nothing to start it back up. There are references on Stack Overflow to code that properly spun off workers, but the sites referenced inevitably seem to have gone offline, much like FastCGI's own site.
So, I'm trying to figure out what I need to add and also -- pardon the pun -- figure out if I need to take a fork in this road. Here are the options that I am trying to consider, if I understand my issues correctly:
Directly implement some sort of forking mechanism, ideally it seems like it should (1) toss off the request to a process/thread/worker -- perhaps one that can stay alive for multiple requests -- and move on to being ready for the next request and (2) be independent enough from the workers that if something goes wrong with a worker, it doesn't bring down the whole system until I catch it and restart the main process (e.g. autorestart processes). If this can be done simply and reliably, this seems to have a huge appeal since the code already works with FastCGI.
Give up on direct FastCGI and convert to PSGI and use an application server to handle these things. Given that I'm using Perl, I'd guess Starman is the logical option, although I've been reading on uwsgi's PSGI support and it sounds almost ideal in "tyrant Emperor" mode, where it could run processes with different privileges, auto restart missing processes, etc.
Option 1 seems intriguing since it requires the least modification to my existing code and a FastCGI script started up without FastCGI still works like a normal CGI script. (I'm not running this code under FastCGI when it is used by sites that are very low traffic).
Option 2, though, feels like it might be more "modern." At least PSGI documentation seems to still be online, for example, and using Starman or uwsgi seem like they take care of the background stuff I need probably better than I would cooking up my own system. Downside: I'd need two startup scripts for my code: one to be used by the PSGI enabled sites and one for sites still running in CGI.
Update: Continuing to explore option 1, I read through this tutorial on Perl fork() which seems somewhat relevant. Would using fork to break off each FastCGI request be a good approach if I go with option 1? I assume I'd be at risk of fork bombing, although if I kept track of the number of forks and issued wait() if ($forks > 10); perhaps that would be a safe approach? (Or perhaps using Parallel::ForkManager to do that process watching.) Or would it be safer and/or more efficient using something like Thread::Queue and passing FastCGI request objects to a set a threads that are reliably already established? There seem to be plenty of pitfalls I might overlook, which then returns me to whether I should opt for Option 2.

Perl script running a periodic (main) task and providing a REST interface

I am working on a Perl script which does some periodic processing based on file-system contents.
The overall structure is like this:
# ... initialization...
while(1) {
# ... scan filesystem, perform actions depending on changes detected ...
sleep 5;
I would like to add the ability to input some data into this process by means of exposing an interface through HTTP. E.g. I would like to add an endpoint to skip the sleep, but also some means to input data that is processed in the next iteration. Additionally, I would like to be able to query some of the program's status through HTTP (i.e. a simple fork() to run the webserver-part in a separate process is insufficient?)
So far I have already used the Dancer2 framework once but it has a start; call that blocks and thus does not allow any other tasks (like my loop) to run. Additionally, I could of course move the code which is currently inside the loop to an endpoint exposed through Dancer2 but then I would need to call that periodically (though an external program?) which seems to be quite an obscure indirection compared to just having the webserver-part running in background.
Is it possible to unobtrusively (i.e. without blocking the program) add a REST-server capability to a Perl script? If yes: Which modules would be used for the purpose? If no: Should I really implement an external process to periodically invoke a certain endpoint or pursue a different solution altogether?
(I have tried to add a dancer2 tag, but could not do so due to insufficient reputation. Do not be mislead by this: I have so far only tried with Dancer2 not the Dancer (v.1))
You could try to launch your processing loop in a background thread, before you run start;.
See man perlthrtut
You probably want use threads::shared; to declare some variables shared between the REST part and the background thread. Or use dedicated queues/event mechanisms.

threads in Dancer

I'm using Dancer 1.31, in a standard configuration (plackup/Starman).
In a request I wished to call a perl function asynchronously, so that the request returns inmmediately. Think of the typical "long running operation" scenario, in which one wants to return a "processing page" with a refresh+redirect.
I (naively?) tried with a thread:
sub myfunc {
sleep 9; # just for testing a slow operation
any '/test1' => sub {
my $thr = threads->create('myfunc');
return "done" ;
I does not work, the server seems to freeze, and the error log does not show anything. I guess manual creation of threads are forbidden inside Dancer? It's an issue with PSGI? Which is the recommended way?
I would stay away from perl threads especially in a web server environment. It will most likely crash your server when you join or detach them.
I usually create a few threads (thread pool) BEFORE initializing other modules and keep them around for the entire life time of the application. Thread::Queue nicely provides communication between the workers and the main thread.
The best asynchronous solution I find in Perl is POE. In Linux I prefer using POE::Wheel::Run to run executables and subroutines asynchronously. It uses fork and has a beautiful interface allowing communication with the child process. (In Windows it's not usable due to thread dependency)
Setting up Dancer and POE inside the same application/script may cause problems and POE's event loop may be blocked. A single worker thread dedicated to POE may come handy, or I would write another server based on POE and just communicate with the Dancer application via sockets.
Threads are definitively iffy with Perl. It might be possible to write some threaded Dancer code, but to be honest I don't think we ever tried it. And considering that Dancer 1's core use simpleton classes, it might also be very tricky.
As Ogla says, there are other ways to implement asynchronous behavior in Dancer. You say that you are using Starman, which is a forking engine. But there is also Twiggy, which is AnyEvent-based. To see how to leverage it to write asynchronous code, have a gander at Dancer::Plugin::Async.

FastCGI with protocol = Tcp on IIS 7

I have tried to use IIS 7 (as included in Windows 7) to test a FastCGI library I am currently developing.
According to the original FastCGI spec, when an application is called, its stdin handle is replaced with a socket. By default, IIS uses a named pipe instead, but it is possible to configure it to use TCP, i.e. a socket.
When I try to use this socket in my test application, I get an WSAENOTSOCK error.
When I try to use a named pipe instead (after reconfiguring IIS), I run into similar problems. For example, I get a ERROR_INVALID_HANDLE when I try to use PeekNamedPipe. ReadFile and WriteFile however work correctly.
I guess the problem is that this handle is inherited from the parent process and the current process does not really know its exact type. It seems to assume that the handle represents a simple file.
Has anyone run into similar problems and knows a solution/workaround? Can I somehow update the in-process status of my handle such that the WIN32 API function will accept it as a socket/named pipe?
In case anyone else ever stumbles upon this: DuplicateHandle does the trick.
In fact, the function OS_LibInit of the libfcgi implementation shows how to start an FastCGI app that got its socket through stdin.

How can I get Perl's Jabber::SimpleSend to work with Gmail chat?

I'm trying to write a simple Perl script to send an Instant Message. Jabber seemed like it might be the most conducive protocol. But the following script fails:
#!/usr/bin/env perl
use Jabber::SimpleSend qw(send_jabber_message);
'subject test',
"body test");
It says:
Can't call method "can_read" on an undefined value at
/opt/local/lib/perl5/site_perl/5.8.9/XML/Stream.pm line 1421.
As cartman's answer points out, the code should actually be
#!/usr/bin/env perl
use Jabber::SimpleSend qw(send_jabber_message);
'subject test',
"body test");
But that fails with the following error:
No SASL mechanism found
at /usr/local/lib/perl5/site_perl/5.10.0/Authen/SASL.pm line 74
I do have the Authen::SASL cpan module installed.
Jabber::SimpleSend is the easier way to interact with a standard Jabber server but don't let the module name mislead you: gtalk is indeed a bit different, requiring TLS encryption (that Jabber::SimpleSend won't do) and a hostname change. You will get better results using Net::XMPP and dealing directly with its API.
See http://www.gridpp.ac.uk/wiki/Nagios_jabber_notification for a well-commented, fully working implementation in 75 lines of perl using Net::XMPP. It's inteded to send nagios notifications but it does exactly what you need.
I'm not familiar with the code, but that line in XML::Stream is where the module begins a select() loop. Line 523-524 is where is passes IO::Select a socket to the destination server, and IO::Select itself passes a blessed reference, which should never be undef the way XML::Stream uses it.
Something is probably modifying the "SELECT" element of the XML::Stream object in the Jabber modules, possibly in a misguided attempt to correct a server connection error. I'm sorry I couldn't be more specific.
In response to the update:
These are odd errors, and I've been meaning to look inside the Jabber modules anyway, so I took at look at the source. The following is based on looking at the latest versions of the modules used available from CPAN. This is probably not very useful unless you want to start subclassing these modules and adding code to see where something unexpected happens. (You can skip the next paragraph if you're not interested in the Jabber modules' internals.)
From the updated information, I've traced it to the point where Authen::SASL::Perl croaks on line 41. It needs a result from $parent->mechanism, and there are two possible causes, assuming Authen::SASL isn't broken. Either it's being called incorrectly with no arguments from Net::XMPP::Protocol (line 2968), which seems unlikely, or the "mechanisms" it set in the constructor for Authen::SASL don't exist. Net::XMPP::Protocol defines the "mechanisms" (GetStreamFeature called, line 2958; that method defined around line 3340) with return $self->{STREAM}->GetStreamFeature($self->GetStreamID(),$feature);, where $feature is just a string passed from the callee and the id part of the XML::Stream object's session.
Based on the original XML error and the possibility of the session id going bad, it appears that the server either sends bad data at some point unexpected to XML::Stream and unaccounted for by the modules using it. I'm not convinced that foo%40gmail.com#talk.google.com is the right user name format, but I don't know how that could be causing these errors without the Jabber server doing something wrong.
I would start fresh with different user names on a different server and see if Jabber::SimpleSend works at all, then try to capture the server's output somehow to see what XML::Stream is choking on.
Update: For what it's worth, I installed the module and I'm getting the exact same errors. Authen::SASL::Perl::PLAIN and all other prerequisites do exist. And when I set the user name to gmailaccountname#talk.google.com and enabled global warnings (eg, #!/usr/bin/perl -w or perl -w filename.pl), XML::Stream reveals a bunch of undefined value problems, and SimpleSend actually spits out the warning "Could not connect to Jabber server"! (No, I don't know what that really means :().
Update: I was trying to install Net::Jabber::Bot (I gave up after some ssl module errors) to see if it would solve anything, and I noticed its constructor has this option and note:
gtalk => 0 # Default to off, 1 for on. needed now due to gtalk differences from std jabber server.
which reinforces the idea that the server's doing something unusual, which XML::Stream doesn't bother to throw an exception for.
Your username should be me#gmail.com but the server name is talk.google.com. So the first parameter should be me#gmail.com#talk.google.com, but I am not sure if Perl can grok that double # signs. You may try to escape first # with %40 so that the first parameter is me%40gmail.com#talk.google.com .
Update I:
About the second error, looks like you are missing SASL authentication modules. GMail uses SASL Plain authentication. So do you have /usr/local/lib/perl5/site_perl/5.10.0/Authen/SASL/Perl/PLAIN.pm file ?
Looks like you require Authen::SASL::Cyrus (the C implementation) or Authen::SASL::Perl (the Perl implementation) to be installed as well as Authen::SASL (which simply tries to find the best option installed on your machine, and, for you, finds neither).
Check to see if you have one of them installed.
That's my reading of the source and the manual - I've not tested this, ymmv.